[Assignment]
Now repeat all of the calculation results underneath without altering anything.

[Excerpt]
'''
Run a
A 7-piece molecular cluster, C14H42O7 overall, computed with wB97M-V/def2-TZVPD.

The geometry in ORCA input format:
```
! RIJCOSX wB97M-V def2-TZVPD def2/J DEFGRID3
* xyz 0 1
C 3.81 -14.58 -23.76
C 4.93 -15.61 -23.88
O 4.98 -16.24 -22.64
H 4.06 -13.73 -23.13
H 2.90 -15.04 -23.35
H 3.57 -14.23 -24.77
H 5.82 -15.13 -24.29
H 4.71 -16.40 -24.59
H 5.34 -15.59 -22.03
C 3.94 -17.79 -15.48
C 5.23 -17.57 -14.68
O 5.37 -16.19 -14.36
H 3.97 -17.10 -16.32
H 3.09 -17.52 -14.85
H 3.86 -18.81 -15.87
H 6.13 -17.89 -15.21
H 5.33 -18.09 -13.73
H 5.71 -16.09 -13.47
C 5.86 -21.51 -22.87
C 7.15 -21.16 -22.08
O 8.19 -21.89 -22.66
H 4.96 -21.01 -22.51
H 5.74 -22.59 -22.83
H 5.92 -21.29 -23.94
H 7.09 -21.52 -21.05
H 7.33 -20.09 -22.05
H 8.95 -21.66 -22.12
C 5.69 -21.22 -17.80
C 6.62 -21.81 -16.77
O 7.06 -20.73 -15.97
H 6.18 -20.48 -18.44
H 4.82 -20.73 -17.37
H 5.27 -21.99 -18.45
H 7.45 -22.38 -17.19
H 6.09 -22.55 -16.17
H 7.70 -21.08 -15.34
C 2.80 -19.68 -26.04
C 3.31 -19.09 -24.69
O 2.91 -19.90 -23.60
H 3.19 -19.14 -26.90
H 1.72 -19.58 -26.16
H 3.14 -20.71 -26.11
H 3.06 -18.03 -24.57
H 4.40 -19.10 -24.81
H 3.13 -19.52 -22.74
C 1.68 -15.89 -20.07
C 0.95 -16.66 -21.14
O -0.36 -16.10 -21.29
H 2.73 -16.19 -20.01
H 1.34 -16.05 -19.04
H 1.70 -14.83 -20.30
H 0.92 -17.74 -21.00
H 1.56 -16.64 -22.04
H -0.59 -16.19 -22.22
C 3.23 -19.18 -19.27
C 4.36 -18.67 -20.15
O 3.96 -18.53 -21.47
H 3.35 -18.96 -18.21
H 3.04 -20.25 -19.36
H 2.29 -18.69 -19.53
H 5.23 -19.32 -20.10
H 4.73 -17.70 -19.80
H 4.39 -17.75 -21.81
*
```

Properties
SMILES	CCO.CCO.CCO.CCO.CCO.CCO.CCO
E_HOMO	-9.615	eV
HOMO-LUMO gap	10.012	eV
LUMO energy	0.40	eV



Run b
A 7-piece molecular cluster, C14H42O7 overall, computed with wB97M-V/def2-TZVPD.

The geometry in ORCA input format:
```
! RIJCOSX wB97M-V def2-TZVPD def2/J DEFGRID3
* xyz 0 1
C -4.52 -10.99 0.32
C -5.19 -11.12 -1.07
O -5.21 -12.51 -1.48
H -3.59 -11.54 0.25
H -5.18 -11.28 1.08
H -4.28 -9.96 0.55
H -4.50 -10.68 -1.83
H -6.16 -10.57 -1.08
H -5.74 -13.02 -0.90
C -6.53 -15.19 -2.43
C -7.68 -15.14 -1.38
O -7.17 -15.00 -0.02
H -6.01 -14.19 -2.39
H -6.89 -15.27 -3.43
H -5.74 -15.94 -2.22
H -8.25 -16.01 -1.57
H -8.34 -14.31 -1.48
H -6.59 -15.74 0.19
C -10.84 -16.67 2.92
C -9.55 -16.56 2.16
O -8.50 -16.86 3.08
H -10.87 -15.99 3.78
H -10.91 -17.70 3.30
H -11.68 -16.38 2.29
H -9.30 -15.60 1.67
H -9.58 -17.22 1.29
H -7.61 -16.98 2.65
C -5.98 -19.71 -0.39
C -4.95 -18.88 0.47
O -5.46 -17.51 0.74
H -5.59 -20.75 -0.53
H -6.05 -19.18 -1.34
H -6.89 -19.76 0.15
H -4.04 -18.82 -0.05
H -4.86 -19.39 1.52
H -4.90 -17.12 1.41
C -8.34 -18.09 6.75
C -7.16 -18.33 5.88
O -6.55 -17.10 5.53
H -8.84 -19.01 6.97
H -9.08 -17.52 6.21
H -8.19 -17.50 7.69
H -7.51 -18.86 4.97
H -6.40 -18.91 6.38
H -7.29 -16.58 5.23
C -7.88 -13.98 5.39
C -8.68 -12.66 5.65
O -9.67 -12.39 4.62
H -7.21 -14.19 6.20
H -7.27 -13.91 4.47
H -8.56 -14.83 5.30
H -8.00 -11.80 5.60
H -9.13 -12.67 6.68
H -10.49 -12.80 4.89
C -4.39 -14.16 2.60
C -3.97 -15.29 3.57
O -4.71 -16.47 3.23
H -4.03 -13.15 2.94
H -5.44 -14.14 2.49
H -3.91 -14.40 1.65
H -4.25 -15.05 4.60
H -2.89 -15.59 3.63
H -5.14 -16.85 4.03
*
```

Properties
SMILES	CCO.CCO.CCO.CCO.CCO.CCO.CCO
E_HOMO	-9.914	eV
HOMO-LUMO gap	10.665	eV
LUMO energy	0.75	eV



Top of the stability list: run b, leading by 3.8 kcal/mol.
'''

[Reply]
Run a
A 7-piece molecular cluster, C14H42O7 overall, computed with wB97M-V/def2-TZVPD.

The geometry in ORCA input format:
```
! RIJCOSX wB97M-V def2-TZVPD def2/J DEFGRID3
* xyz 0 1
C 3.81 -14.58 -23.76
C 4.93 -15.61 -23.88
O 4.98 -16.24 -22.64
H 4.06 -13.73 -23.13
H 2.90 -15.04 -23.35
H 3.57 -14.23 -24.77
H 5.82 -15.13 -24.29
H 4.71 -16.40 -24.59
H 5.34 -15.59 -22.03
C 3.94 -17.79 -15.48
C 5.23 -17.57 -14.68
O 5.37 -16.19 -14.36
H 3.97 -17.10 -16.32
H 3.09 -17.52 -14.85
H 3.86 -18.81 -15.87
H 6.13 -17.89 -15.21
H 5.33 -18.09 -13.73
H 5.71 -16.09 -13.47
C 5.86 -21.51 -22.87
C 7.15 -21.16 -22.08
O 8.19 -21.89 -22.66
H 4.96 -21.01 -22.51
H 5.74 -22.59 -22.83
H 5.92 -21.29 -23.94
H 7.09 -21.52 -21.05
H 7.33 -20.09 -22.05
H 8.95 -21.66 -22.12
C 5.69 -21.22 -17.80
C 6.62 -21.81 -16.77
O 7.06 -20.73 -15.97
H 6.18 -20.48 -18.44
H 4.82 -20.73 -17.37
H 5.27 -21.99 -18.45
H 7.45 -22.38 -17.19
H 6.09 -22.55 -16.17
H 7.70 -21.08 -15.34
C 2.80 -19.68 -26.04
C 3.31 -19.09 -24.69
O 2.91 -19.90 -23.60
H 3.19 -19.14 -26.90
H 1.72 -19.58 -26.16
H 3.14 -20.71 -26.11
H 3.06 -18.03 -24.57
H 4.40 -19.10 -24.81
H 3.13 -19.52 -22.74
C 1.68 -15.89 -20.07
C 0.95 -16.66 -21.14
O -0.36 -16.10 -21.29
H 2.73 -16.19 -20.01
H 1.34 -16.05 -19.04
H 1.70 -14.83 -20.30
H 0.92 -17.74 -21.00
H 1.56 -16.64 -22.04
H -0.59 -16.19 -22.22
C 3.23 -19.18 -19.27
C 4.36 -18.67 -20.15
O 3.96 -18.53 -21.47
H 3.35 -18.96 -18.21
H 3.04 -20.25 -19.36
H 2.29 -18.69 -19.53
H 5.23 -19.32 -20.10
H 4.73 -17.70 -19.80
H 4.39 -17.75 -21.81
*
```

Properties
SMILES	CCO.CCO.CCO.CCO.CCO.CCO.CCO
E_HOMO	-9.615	eV
HOMO-LUMO gap	10.012	eV
LUMO energy	0.40	eV



Run b
A 7-piece molecular cluster, C14H42O7 overall, computed with wB97M-V/def2-TZVPD.

The geometry in ORCA input format:
```
! RIJCOSX wB97M-V def2-TZVPD def2/J DEFGRID3
* xyz 0 1
C -4.52 -10.99 0.32
C -5.19 -11.12 -1.07
O -5.21 -12.51 -1.48
H -3.59 -11.54 0.25
H -5.18 -11.28 1.08
H -4.28 -9.96 0.55
H -4.50 -10.68 -1.83
H -6.16 -10.57 -1.08
H -5.74 -13.02 -0.90
C -6.53 -15.19 -2.43
C -7.68 -15.14 -1.38
O -7.17 -15.00 -0.02
H -6.01 -14.19 -2.39
H -6.89 -15.27 -3.43
H -5.74 -15.94 -2.22
H -8.25 -16.01 -1.57
H -8.34 -14.31 -1.48
H -6.59 -15.74 0.19
C -10.84 -16.67 2.92
C -9.55 -16.56 2.16
O -8.50 -16.86 3.08
H -10.87 -15.99 3.78
H -10.91 -17.70 3.30
H -11.68 -16.38 2.29
H -9.30 -15.60 1.67
H -9.58 -17.22 1.29
H -7.61 -16.98 2.65
C -5.98 -19.71 -0.39
C -4.95 -18.88 0.47
O -5.46 -17.51 0.74
H -5.59 -20.75 -0.53
H -6.05 -19.18 -1.34
H -6.89 -19.76 0.15
H -4.04 -18.82 -0.05
H -4.86 -19.39 1.52
H -4.90 -17.12 1.41
C -8.34 -18.09 6.75
C -7.16 -18.33 5.88
O -6.55 -17.10 5.53
H -8.84 -19.01 6.97
H -9.08 -17.52 6.21
H -8.19 -17.50 7.69
H -7.51 -18.86 4.97
H -6.40 -18.91 6.38
H -7.29 -16.58 5.23
C -7.88 -13.98 5.39
C -8.68 -12.66 5.65
O -9.67 -12.39 4.62
H -7.21 -14.19 6.20
H -7.27 -13.91 4.47
H -8.56 -14.83 5.30
H -8.00 -11.80 5.60
H -9.13 -12.67 6.68
H -10.49 -12.80 4.89
C -4.39 -14.16 2.60
C -3.97 -15.29 3.57
O -4.71 -16.47 3.23
H -4.03 -13.15 2.94
H -5.44 -14.14 2.49
H -3.91 -14.40 1.65
H -4.25 -15.05 4.60
H -2.89 -15.59 3.63
H -5.14 -16.85 4.03
*
```

Properties
SMILES	CCO.CCO.CCO.CCO.CCO.CCO.CCO
E_HOMO	-9.914	eV
HOMO-LUMO gap	10.665	eV
LUMO energy	0.75	eV



Top of the stability list: run b, leading by 3.8 kcal/mol.